Finding solace and strength during times of grief is a universal human experience. In Islam, the embrace of faith becomes an anchor for believers as they navigate through these challenging moments. The teachings of Islam offer comfort, guidance, and a sense of purpose that can help individuals find healing amidst their sorrow.
From understanding the essence of Islam to delving into its pillars and exploring its approach to grief. Let us embark on this journey together as we discover the wisdom and compassion embedded within this beautiful religion. So grab a cup of tea or coffee, sit back, and let’s dive right into it!
### Records of molecules, kept here for reference
=====
Record 1
Here is the molecule C2H8N4S in a non-equilibrium geometry from the OMol25 dataset. Energies are from wB97M-V/def2-TZVPD.

```
15
Properties=species:S:1:pos:R:3:lowdin_charge:R:1
C 0.124 -0.337 -0.051 -0.386
C 1.532 -0.643 0.391 -0.620
H -0.699 1.937 -1.295 0.086
H -2.164 1.369 -0.712 0.064
H 0.208 1.386 0.875 0.079
H 1.742 -0.414 1.459 0.077
H 1.873 -1.736 0.269 0.079
H 3.719 0.636 0.653 0.001
H -2.349 -0.603 0.415 0.036
H -2.404 -2.007 -0.558 0.142
N -1.243 1.718 -0.453 -0.025
N -0.556 0.913 0.454 -0.086
N -0.635 -1.303 -0.497 -0.010
N -1.964 -1.002 -0.370 -0.045
S 2.816 0.086 -0.579 0.608
```

As for the gap between HOMO and LUMO: 8.6 eV. The structure (SMILES) is N/N=C(/CS)NN. As for the HOMO energy: -8.3 eV.

***

Record 2
Here is a cluster of 2 separate species, C2H8N4S in total in a non-equilibrium geometry from the OMol25 dataset. Energies are from wB97M-V/def2-TZVPD.

```
15
Properties=species:S:1:pos:R:3:lowdin_charge:R:1
C -10.232 -1.133 0.565 0.306
C -9.832 1.206 0.111 -0.186
N -10.481 0.002 0.457 0.137
N -7.980 -0.132 -0.226 -0.488
N -8.473 1.004 -0.222 -0.027
=====
What is Islam?
Islam, derived from the Arabic word meaning “submission,” is a monotheistic religion that originated in the 7th century CE in the Arabian Peninsula. It was founded by Prophet Muhammad, who Muslims believe to be the final messenger of Allah (God). Islam encompasses various beliefs and practices that guide its followers in their spiritual journey.
At its core, Islam teaches believers to submit themselves entirely to Allah’s will and live a righteous life guided by His teachings. The Quran, considered the holy book of Islam, is believed to be a direct revelation from Allah through Prophet Muhammad. It serves as a comprehensive guide for all aspects of life – from personal conduct and family relationships to societal and economic matters.
Hadith on Someone’s Death in Islam
The following hadith gives an excellent account of Prophet Muhammad (pbuh) actions and actions in funerals. The first Hadith comes from Sahih Muslim regarding being respectful and being present at funerals (despite the religion or the cultural beliefs among the dead).
It is reported by the ‘Amir Ibn Ra’a (may Allah be pleased with his) The Prophet (pbuh) told us: Every time you witness a funeral processional, be there to watch it until it goes away or is taken to the ground.
This verse from the Quran 2:156 is often recited when you receive the news that someone has passed away.
Transliteration From Arabic to English – Inna Lillahi wa inna ilayhi raji’un
Central to Islamic belief
Muslims also consider Hadiths – collections of sayings and actions attributed to Prophet Muhammad – as an essential source of guidance alongside the Quran. These texts provide further insight into Islamic principles and help interpret religious teachings within different contexts.
Central to Islamic belief is Tawhid – monotheism – which emphasizes the oneness of Allah. Muslims believe that Allah is compassionate, merciful, just, and omnipotent. He remains directly involved in human affairs while allowing free will for individuals.
Five Fundamental Pillar of Islam
Five Pillars are fundamental acts of worship enshrined in Islam: Shahada (faith), Salah (prayer), Zakat (charity), Sawm (fasting during Ramadan), and Hajj (pilgrimage to Mecca). These pillars serve as practical manifestations of faith aimed at fostering spirituality, community engagement, self-discipline, empathy towards others’ needs.
By embracing these pillars along with other practices like reciting prayers throughout the day or engaging in voluntary acts of charity known as Sadaqah. Muslims strive for closeness with Allah while seeking righteousness both individually and collectively.
Five Pillars of Islam are mentioned below:
The person is a Muslim by delivering the fundamental declaration of testimony or testimony. “I affirm the existence of God other than God and I affirm the fact that Muhammad is the messenger from God.” Different versions of the shahada can be used in a myriad of different contexts.
It refers to a ceremony of prayer, which is ritualized and performed at specific times every day in front of Mecca. Salat is comprised of a sequence of recitations and bodily postures such as prostration with the forehead pressed against the ground.
This is a mandatory charitable contribution which is owed annually by each Muslim at a amount that is 2.5 percent of income-producing liquid assets and property. Zakat is a charitable contribution that aids in the advancement of Islam.
It is a fast from the dawn until dusk every day in this ninth month (Ramadan), Muslims are not allowed to drink, eat or have sexual interactions. It is a time for spiritual renewal.
at least one time in their lives in the event that they are financially and physically capable. Every Muslim undertakes the pilgrimage to Mecca in the twelfth Muslim month. In the five holy days during the Hajj people who make the pilgrimage repeat the ceremony first performed by Abraham and his family. Which includes circling the holy shrine (Ka`ba) and sitting on the Arafat plain and offering an offering of sacrifice.